Elor Azaria court-martial appeal underway in Tel Aviv

The appeal of Elor Azaria, who killed a seemingly neutralized Palestinian terrorist, claiming he feared the assailant was carrying a bomb, has begun.

The appeal of Pvt. Elor Azaria, who on January 4 was convicted of manslaughter for killing an apparently neutralized terrorist in Hebron on March 24 last year, got underway Sunday morning at the Defense Ministry compound, known as the Kirya in Tel Aviv. Azaria, 20, was sentenced to 18 months imprisonment and 12 months probation, as well as being demoted in rank. Shortly after the sentencing, IDF lawyers demanded a harsher sentence.

At the court-martial appeal, military judge Zvi Segal questioned why Azaria was appealing his conviction and relatively light jail sentence.

“None of the soldiers, officers or armed civilians at the scene, despite having felt danger, drew their weapon and shot the terrorist,” Segal told Azaria’s defense lawyer, Yoram Sheftel.

Judge Brig.-Gen. (res.) Avi Peled similarly asked Sheftel, “What I’m not hearing from you is why the appellant, unlike everyone else at the scene (at Tel Rumeida in Hebron), felt danger and opened fire?”

Misplaced materials data:
'''
Entry 1:
# CaNbCoN3 PBE relaxed
# - energy relative to the elements, uncorrected (eV/atom) = -0.658
# - density (g/cm³) = 5.1
data_CaNbCoN3
_chemical_formula_sum 'Ca2 Nb2 Co2 N6'
_space_group_name_H-M_alt 'P 1 21/m 1'
_space_group_IT_number 11
_space_group_name_Hall '-P 2yb'
_cell_length_a 6.735
_cell_length_b 3.150
_cell_length_c 7.400
_cell_angle_alpha 90.00
_cell_angle_beta 104.65
_cell_angle_gamma 90.00
loop_
_atom_site_label
_atom_site_type_symbol
_atom_site_fract_x
_atom_site_fract_y
_atom_site_fract_z
_atom_site_occupancy
Ca1 Ca 0.188 0.250 0.210 1
Nb1 Nb 0.333 0.750 0.854 1
Co1 Co 0.099 0.250 0.596 1
N1 N 0.124 0.250 0.863 1
N2 N 0.194 0.750 0.509 1
N3 N 0.436 0.750 0.143 1

Entry 2:
# Sn2Hg5Pb2 PBE relaxed
# - density (g/cm³) = 10.6
# - energy relative to the elements (meV/atom) = 63.3
data_Sn2Hg5Pb2
_chemical_formula_sum 'Sn4 Hg10 Pb4'
_space_group_name_H-M_alt 'C 1 2/m 1'
_space_group_IT_number 12
_space_group_name_Hall '-C 2y'
_cell_length_a 18.742
_cell_length_b 4.318
_cell_length_c 6.443
_cell_angle_alpha 90.00
_cell_angle_beta 94.81
_cell_angle_gamma 90.00
loop_
_atom_site_label
_atom_site_type_symbol
_atom_site_fract_x
_atom_site_fract_y
_atom_site_fract_z
_atom_site_occupancy
Sn1 Sn 0.212 0.000 0.369 1
Hg1 Hg 0.000 0.000 0.000 1
Hg2 Hg 0.052 0.500 0.326 1
Hg3 Hg 0.102 0.000 0.670 1
Pb1 Pb 0.174 0.500 0.003 1

Entry 3:
# LiLaMg3 PBE relaxed
# - ΔE to the lowest computed polymorph (meV per atom) = 0
# - density (g/cm³) = 2.9
# - energy relative to the elements (meV/atom) = 29.8
data_LiLaMg3
_chemical_formula_sum 'Li1 La1 Mg3'
_space_group_name_H-M_alt 'P m -3 m'
_space_group_IT_number 221
_space_group_name_Hall '-P 4 2 3'
_cell_length_a 5.019
_cell_length_b 5.019
_cell_length_c 5.019
_cell_angle_alpha 90.00
_cell_angle_beta 90.00
_cell_angle_gamma 90.00
loop_
_atom_site_label
_atom_site_type_symbol
_atom_site_fract_x
_atom_site_fract_y
_atom_site_fract_z
_atom_site_occupancy
Li1 Li 0.000 0.000 0.000 1
La1 La 0.500 0.500 0.500 1
Mg1 Mg 0.000 0.000 0.500 1

Entry 4:
# KPa3Tc4N12 PBE relaxed
# - energy relative to the elements, uncorrected (eV/atom) = -0.313
# - density (g/cm³) = 6.1
data_KPa3Tc4N12
_chemical_formula_sum 'K3 Pa9 Tc12 N36'
_space_group_name_H-M_alt 'R 3 2'
_space_group_IT_number 155
_space_group_name_Hall 'R 3 2"'
_cell_length_a 11.4625
_cell_length_b 11.4625
_cell_length_c 9.2922
_cell_angle_alpha 90.00
_cell_angle_beta 90.00
_cell_angle_gamma 120.00
loop_
_atom_site_label
_atom_site_type_symbol
_atom_site_fract_x
_atom_site_fract_y
_atom_site_fract_z
_atom_site_occupancy
K1 K 0.0000 0.0000 0.0000 1
Pa1 Pa 0.0000 0.5612 0.0000 1
Tc1 Tc 0.0000 0.0000 0.5000 1
Tc2 Tc 0.0000 0.4377 0.5000 1
N1 N 0.0000 0.6001 0.5000 1
N2 N 0.0000 0.8408 0.5000 1
N3 N 0.0483 0.2275 0.1922 1

Entry 5:
# InPd2W PBE relaxed
# - density (g/cm³) = 11.6
# - energy relative to the elements (meV/atom) = 499.3
data_InPd2W
_chemical_formula_sum 'In4 Pd8 W4'
_space_group_name_H-M_alt 'I -4 2 d'
_space_group_IT_number 122
'''

Sheftel argued that “in the (Ziad) Jilani case, only one police officer opened fire as well,” referring to a 2010 shooting incident in which a Border Policeman killed a Palestinian who rammed his car into a police position in eastern Jerusalem. The officer shot Jilani at close range while the latter was lying on the ground. Some six months later, the Police Investigation Unit closed the file, citing lack of sufficient evidence.

This wasn’t the first time Sheftel brought up the Jilani case. Previously, Segal reprimanded him, saying him that “in the Jilani case, the soldier acted according to the rules of engagement.”

Segal also inquired whether “there is an explanation as to why Azaria handed his helmet over to his friend before shooting? After all, he was afraid (the terrorist carried) a bomb.”

“I don’t remember. He wasn’t asked about that,” Sheftel responded, adding, “Is anyone examining such nuances? Why is Azaria being picked on with nuances?”

To this, Segal responded, “You claim in your appeal that Azaria made a professional error and nothing more. I can’t find a single sentence in his testimony (to indicate that)… Azaria even explained in his testimony that everyone else was negligent, and he was right.”

Defense Attorney Claims Testimony ‘Fabricated’

[Inserted here: crystal structures]
/*
# CrSOF2 GGA+U optimized geometry
data_CrSOF2
_chemical_formula_sum 'Cr1 S1 O1 F2'
_cell_length_a 4.533
_cell_length_b 4.533
_cell_length_c 3.450
_cell_angle_alpha 90.00
_cell_angle_beta 90.00
_cell_angle_gamma 90.00
_space_group_name_H-M_alt 'P 4/m m m'
_space_group_IT_number 123
_space_group_name_Hall '-P 4 2'
loop_
_atom_site_label
_atom_site_fract_x
_atom_site_fract_y
_atom_site_fract_z
Cr1 0.000 0.000 0.000
S1 0.500 0.500 0.500
O1 0.500 0.500 0.000
F1 0.000 0.500 0.500
# - Density: 3.2 Mg/m³
# - E above lowest polymorph: 410 meV/atom
# - VASP energy: -23.288 eV per cell
*/

Sheftel claimed that the testimony of Azaria’s company commander, Maj. Tom Na’aman, was fabricated to his client’s detriment.

********
# 1
KTlSb2 | PBE | optimized geometry

Unit cell a=4.3128 b=7.0292 c=9.9902 alpha=90.00 beta=90.00 gamma=90.00
Fractional positions:
K  0.0000  0.0830  0.0000
K  0.0000  0.9170  0.5000
Tl  0.5000  0.3500  0.3214
Tl  0.5000  0.6500  0.8214
Sb  0.0000  0.4252  0.5912
Sb  0.0000  0.5748  0.0912
Sb  0.5000  0.2180  0.7186
Sb  0.5000  0.7820  0.2186

Its calculated volume is 37.86 A^3/atom. As for the uncorrected formation energy: -0.21 eV/atom. The value obtained for the offset from the most stable computed form is 0 meV per atom. The calculation puts the total magnetic moment at 0.0 Bohr magnetons per cell. As for the uncorrected energy: -3.14 eV/atom. Its symmetry is Pmc2_1 (26).

=====

# 2
KTiHg2 | PBE | optimized geometry

Unit cell a=6.8464 b=6.8464 c=6.8464 alpha=105.73 beta=105.73 gamma=117.25
Fractional positions:
K  0.0000  0.0000  0.0000
K  0.7500  0.2500  0.5000
Ti  0.2500  0.7500  0.5000
Ti  0.5000  0.5000  0.0000
Hg  0.1841  0.6250  0.0591
Hg  0.3750  0.4341  0.5591
Hg  0.5659  0.1250  0.9409
Hg  0.8750  0.8159  0.4409

Its calculated volume is 30.45 A^3/atom. The calculation puts the total magnetic moment at 4.5 Bohr magnetons per cell. The calculation puts the formation enthalpy at 0 K at 1.54 eV per formula unit. As for the uncorrected energy: -2.01 eV/atom. Its symmetry is I-42d (122).

=====

Question: Which of these has the highest calculated volume?
Answer: KTlSb2

=====

Question: total magnetic moment of number 1 (KTlSb2)?
Answer: 0.0 Bohr magnetons per cell

=====

Question: The lowest total magnetic moment belongs to which entry?
Answer: KTlSb2

=====

[1]
Below is an optimized crystal structure of BaZr2Cl, with properties calculated at the PBE level.

abc: 7.1825 7.1825 5.1460
angles: 68.68 68.68 26.50
Element x y z (fractional)
Zr  0.5347  0.5347  0.4729
Zr  0.9653  0.9653  0.0271
Ba  0.7500  0.7500  0.7500
Cl  0.2500  0.2500  0.2500

Results
* offset from the most stable computed form: 121.9 meV per atom
* magnetic moment: 0.00 μB per atom
* mass density: 5.4 g/cm3
* N(E_F): 1.303 states/eV/atom
* uncorrected formation energy: -0.19 eV per atom
* space group: C2/m, No. 12



[2]
Below is an optimized crystal structure of NpNb2In, with properties calculated at the PBE level.

abc: 3.2654 3.2654 9.1049
angles: 79.67 79.67 60.00
Each line ends with the local moment (μB).
Element x y z (fractional)
Np  0.0000  0.0000  0.0000  3.05
Nb  0.2554  0.2554  0.2339  0.04
Nb  0.7446  0.7446  0.7661  0.04
In  0.5000  0.5000  0.5000  0.00

Results
* offset from the most stable computed form: 232.6 meV per atom
* magnetic moment: 0.79 μB per atom
* mass density: 10.9 g/cm3
* N(E_F): 1.796 states/eV/atom
* DFT formation energy: 447 meV/atom
* space group: R-3m, No. 166



[3]
Below is an optimized crystal structure of GaPb6Au4, with properties calculated at the PBE level.

abc: 7.1516 9.8081 9.8081
angles: 120.00 90.00 90.00
Element x y z (fractional)
Pb  0.1370  0.4666  0.9331
Pb  0.9448  0.8548  0.7096
Pb  0.4448  0.1452  0.2904
********
The data records stop here:

He insisted Na’aman’s evidence “was fabricated in the most disgraceful manner possible. He did a 180 with his version. It’s a serious oversight that the previous defense attorneys didn’t question the company commander on that. The fact there was no cross-examination on the matter is not enough to remove all doubts from his intolerable testimony.”

Sheftel has made a career defending unpopular cases. He represented convicted Nazi war criminal John Demjanjuk.

Sheftel was not part of Azaria’s original defense team. He joined mid-trial, and remained the sole lawyer after Eyal Besserglick, Ilan Katz and Karmit Scheiber resigned over disagreements on whether to appeal the verdict.

Since the fatal shooting in Hebron nearly a year and a half ago, Azaria has become a hero to many who, rather than viewing his shooting as a failure to follow IDF orders about the use of weapons, champion his actions as a resolute and appropriate response to terrorism. In Azaria’s words, Abdel Fattah al-Sharif – the knife-wielding Palestinian who wounded an IDF soldier – “deserved to die.”

By: Gil Zohar, World Israel News
